Tuesday, May 11, 2010

== Quantum chemistry results that have nothing to do with the entry ==
~~~
# C37H47N8PSV

C37H47N8PSV as an isolated structure at a distorted geometry (wB97M-V/def2-TZVPD, OMol25).

Structure (XYZ):
```
95
Properties=species:S:1:pos:R:3:forces:R:3
V -0.202 -0.479 0.670 1.107 1.415 0.054
N 1.860 -0.671 0.925 0.412 -0.259 0.342
C 2.785 0.390 0.601 0.646 0.696 0.053
C 4.112 0.064 0.367 -0.125 -0.063 0.032
C 5.046 1.047 0.101 -0.061 0.025 0.008
C 4.649 2.374 0.112 0.055 -0.029 0.056
C 3.329 2.703 0.344 -0.092 -0.174 0.139
C 2.359 1.718 0.572 0.265 -0.415 0.038
C 0.938 2.089 0.472 -0.384 0.507 -0.140
C 0.542 3.401 0.768 0.029 -0.083 0.157
C -0.618 3.936 0.240 0.058 0.010 -0.009
C -1.366 3.192 -0.662 -0.065 -0.126 -0.067
C -1.045 1.860 -0.870 -0.145 0.321 -0.232
C 0.035 1.271 -0.229 0.216 -0.144 -0.081
H 2.091 -1.478 0.342 -0.036 0.108 0.237
H 2.046 -0.960 1.889 0.037 -0.115 -0.250
H 4.408 -0.975 0.392 0.088 -0.167 -0.002
H 6.067 0.778 -0.113 0.122 -0.021 0.008
H 5.366 3.154 -0.087 0.086 0.101 -0.014
H 3.027 3.738 0.308 -0.027 0.071 -0.107
H 1.166 4.007 1.411 0.086 0.110 -0.074
H -0.902 4.952 0.469 0.001 0.052 0.056
H -2.212 3.634 -1.164 -0.069 0.044 -0.084
H -1.630 1.269 -1.563 -0.146 0.053 0.160
N -3.882 0.504 2.108 0.613 -0.025 0.237
C -4.379 0.246 0.850 0.458 -0.331 -0.893
C -5.657 0.305 0.307 -0.030 0.060 0.049
C -5.788 -0.015 -1.029 -0.026 0.109 0.207
C -4.682 -0.380 -1.809 0.136 -0.114 -0.001
C -3.414 -0.459 -1.276 0.009 0.046 0.134
C -3.264 -0.147 0.076 -1.028 0.164 -0.160
N -2.148 -0.133 0.877 -0.838 0.328 1.130
C -2.546 0.270 2.076 -0.946 0.021 -0.231
C -1.584 0.419 3.140 -0.123 0.421 1.383
C -1.731 0.820 4.446 0.184 -0.222 -0.525
S -0.224 0.826 5.253 -0.020 -0.218 -0.844
C 0.518 0.289 3.804 0.124 0.213 0.707
N -0.290 0.120 2.800 -0.106 -0.423 -0.424
H -4.423 0.828 2.894 0.083 0.003 0.055
H -6.507 0.600 0.900 -0.145 0.031 0.058
H -6.764 0.029 -1.488 -0.044 -0.004 -0.009
H -4.837 -0.617 -2.849 0.004 -0.001 -0.118
H -2.561 -0.754 -1.872 -0.014 0.000 -0.004
H -2.620 1.091 4.980 -0.276 0.102 0.031
H 1.582 0.127 3.764 0.132 -0.008 -0.060
N -0.270 -1.755 -0.369 -0.432 -1.346 -1.205
P -0.040 -3.341 -0.456 0.532 -1.723 0.361
N 0.938 -3.869 0.792 -0.420 0.418 -0.723
C 2.359 -4.186 0.639 0.378 -0.089 -0.138
C 3.072 -4.137 1.986 -0.158 -0.310 -0.048
C 2.359 -5.071 2.966 0.027 0.154 0.037
C 0.863 -4.720 3.094 -0.022 0.120 0.013
C 0.462 -3.602 2.134 -0.246 -0.187 0.378
N 0.781 -3.753 -1.830 -0.790 0.503 0.769
C 0.917 -5.167 -2.188 0.134 -0.406 0.097
C 2.056 -5.318 -3.185 -0.170 -0.071 -0.003
C 1.678 -4.638 -4.507 -0.003 0.008 0.043
C 0.748 -3.440 -4.265 0.148 0.038 0.095
C 1.043 -2.801 -2.914 -0.015 0.499 -0.281
N -1.465 -4.126 -0.143 0.748 0.680 -0.357
C -1.524 -5.548 0.164 0.068 -0.497 0.227
C -2.474 -5.824 1.332 0.009 0.077 -0.088
C -3.785 -5.028 1.204 -0.091 0.007 -0.139
C -3.912 -4.417 -0.188 0.089 0.064 0.222
C -2.741 -3.474 -0.442 -0.353 0.228 -0.105
H 2.833 -3.514 -0.086 0.012 -0.091 0.018
H 2.454 -5.204 0.244 0.133 0.103 -0.021
H 3.099 -3.117 2.377 0.094 0.041 0.013
H 4.101 -4.468 1.844 0.011 0.129 0.002
~~~
== Here the entry continues ==

What is PEX Tubing? Why should you use it for Radiant Heat?

What is PEX Tubing? Why should you use it for Radiant Heat?

PEX is an acronym for polyethylene, crosslinked. It is made to last about 200 years, but if you live for another 200 years and the PEX you buy is still in the floor and working - please give us a call - as soon as possible. PEX pipe is, however, the material you'll find all over Europe. The Europeans have been doing hydronic radiant floor heating with PEX since the early Seventies and there's a lot more of it there than there is here. PEX Tubing has a great track record.

PEX Tubing manufacturers have been taking the time to spell out the differences between their products. And there are differences in the way different companies make PEX piping. Knowing this can help you make the right decision when you're shopping for a PEX supplier for your radiant floor heating or plumbing system.

Most manufacturers start with a material called HDPE, which stands for High-Density Polyethylene. HDPE evolved from polyethylene, a material discovered by accident by a group of British scientists during the 1930s.

PEX differs from HDPE in that PEX has this special three-dimensional link between the molecules. It's this network of macromolecules that gives PEX such a fine memory for its original shape. If you kink PEX pipe, you can just heat it up and it will always return to the shape in which it was first crosslinked.

The linking of the molecules happens during the manufacturing process, and how a manufacturer chooses to make that happen affects the properties of the final product. The manufacturer can't link all the molecules together because that would make the PEX pipe too brittle. On the other hand, if they link too few molecules the material won't be any better than HDPE, from whence it came. They have to find just the right combination of linked and non-linked molecules.

There are different ways to get where they need to go, and from what I've learned, some ways seem better than others. Here are the principal methods manufacturers are using today to make PEX:

Engel-method PEX (also known as PEX-A) This is the stuff Tomas Engel brought into the world. Engel was the guy who invented PEX. He is a European scientist and he had nothing to do with the radiant heating industry when he invented PEX. What's important for you to know is that Engel-method PEX gets crosslinked while it's still in its melted form. The manufacturers do this by adding peroxide to the mix and then applying a tremendous amount of pressure and temperature to the liquid. What comes squirting out of the machine is PEX that's as clear as glass. As it cools, it takes on a darker color. The Engel method gives the pipe an essentially uniform distribution of the crosslinking sites throughout the material. This is the best way to make PEX pipe. It takes a while longer to do it this way, and this sort of PEX may cost a bit more.
HousePEX PEX-A Tubing is made with the Engle-Method - thus HousePEX PEX-A PEX is "PEX-A".

Irradiation-method PEX (also known as PEX-C) Irradiated PEX starts out as straight polyethylene tubing. As with other methods of making straight polyethylene, the tubing takes on a definite form during the extrusion process. With the irradiation method, the crosslinking takes place in a second process when the manufacturer runs the tubing through an electron beam cannon. The beam gets the polyethylene molecules so excited that they crosslink. This method can sometimes result in a less uniform crosslinking of the material. If it's not done properly, the outer layer of irradiated PEX tube can become brittle, but this is not a concern in a well-controlled process.
HousePEX PEX-C Tubing is made with the Irradiation-method - thus HousePEX PEX-C PEX is "PEX-C".

Silane-method PEX (also known as PEX-B) The big difference between this method and the other two methods is that with the Engel and Irradiation methods, the crosslinking consists of a bond between carbon molecules. With the Silane method the crosslinking takes place across silicon and oxygen molecules. These links are weaker than the carbon-carbon links that result from the other methods, and this may have an effect on the long-term chemical stability of the material. If we live long enough, we'll probably find out.

It's good for you to know the differences between these materials even though they all go under the name PEX. Let's face it, you're the one who's going to be putting the tubing under the floor.

********
Version 1
Below is a cluster of 2 separate species, C5H14N2O in total, with properties calculated with wB97M-V/def2-TZVPD.

Structure (ORCA input):
```
! wB97M-V def2-TZVPD RIJCOSX def2/J DEFGRID3
* xyz 0 1
C 1.352 1.533 -0.618
C 1.111 0.109 -0.163
C -0.485 -0.162 0.559
C -0.454 0.536 1.912
C -0.679 -1.663 0.727
N -1.533 0.376 -0.225
H 0.873 1.744 -1.571
H 2.419 1.737 -0.710
H 0.951 2.264 0.085
H 1.714 -0.122 0.716
H 1.484 -0.619 -0.888
H 0.318 0.110 2.550
H -0.264 1.604 1.799
H -1.419 0.412 2.407
H -1.623 -1.854 1.234
H 0.122 -2.091 1.324
H -0.722 -2.170 -0.234
H -1.468 1.382 -0.328
H -1.621 -0.064 -1.148
N 0.371 -0.845 -2.539
O -0.761 -0.367 -2.661
H 0.316 -1.851 -2.229
*
```

The lowest unoccupied orbital energy comes out at -0.644 eV.

natural (NBO) atomic charge list, values in e, 4 entries:
1. C -0.630
2. C -0.432
3. C 0.170
4. C -0.624


Version 2
Below is the molecule C5H14N2O, with properties calculated with wB97M-V/def2-TZVPD.

Structure (ORCA input):
```
! wB97M-V def2-TZVPD RIJCOSX def2/J DEFGRID3
* xyz 0 1
C 2.135 -1.402 -0.325
N 1.082 -0.887 0.528
N 0.872 -1.763 1.578
O -0.119 -0.760 -0.297
C -0.680 0.551 -0.250
C 0.358 1.610 -0.642
C -1.238 0.865 1.141
C -1.811 0.506 -1.278
H 3.051 -1.421 0.261
H 1.918 -2.411 -0.685
H 2.253 -0.730 -1.164
H 0.535 -2.682 1.269
H 0.196 -1.370 2.232
H 1.210 1.570 0.043
H 0.714 1.424 -1.662
H -0.094 2.596 -0.606
H -1.698 1.848 1.142
H -0.434 0.862 1.870
H -1.985 0.127 1.425
H -1.419 0.269 -2.263
H -2.316 1.464 -1.313
H -2.529 -0.266 -1.003
*
```

The lowest unoccupied orbital energy comes out at 0.983 eV.

natural (NBO) atomic charge list, values in e, 4 entries:
1. C -0.422
2. N -0.034
3. N -0.652
4. O -0.453


Version 3
Below is a cluster of 2 separate species, C5H14N2O in total, with properties calculated with wB97M-V/def2-TZVPD.

Structure (ORCA input):
```
! wB97M-V def2-TZVPD RIJCOSX def2/J DEFGRID3
* xyz 0 1
C 1.447 2.753 1.005
N 0.456 2.028 0.214
C 0.389 0.662 0.069
C -0.362 -0.005 -0.796
C -0.308 -1.514 -0.713
C -0.309 -2.335 -2.082
N -1.680 -2.710 -2.411
H 2.118 3.374 0.436
H 0.877 3.462 1.633
H 2.051 1.994 1.519
H -0.292 2.576 -0.167
H 1.150 0.130 0.708
H -1.095 0.427 -1.484
H -1.192 -1.827 -0.130
H 0.614 -1.857 -0.243
H 0.054 -1.619 -2.831
H 0.379 -3.182 -2.079
H -2.296 -1.927 -2.591
H -2.080 -3.171 -1.609
O 0.215 0.645 3.976
H 0.437 1.565 4.132
H -0.573 0.531 3.442
*
```

The lowest unoccupied orbital energy comes out at 0.782 eV.

natural (NBO) atomic charge list, values in e, 4 entries:
1. C -0.396
2. N -0.623
3. C 0.033
4. C -0.341


Version 4
Below is a cluster of 2 separate species, C5H14N2O in total, with properties calculated with wB97M-V/def2-TZVPD.

Structure (ORCA input):
```
! wB97M-V def2-TZVPD RIJCOSX def2/J DEFGRID3
* xyz 0 1
N 0.962 1.493 0.942
C 0.280 0.822 -0.160
C 0.906 -0.466 -0.848
C 2.306 -0.393 -1.565
O 1.319 -0.809 2.072
C -1.074 0.221 0.510
N -1.977 -0.481 -0.406
C -3.302 -0.134 -0.031
H 1.387 0.149 1.625
H 1.757 2.023 0.703
H -0.121 1.540 -0.903
********

In fairness, though, I have to tell you that none of these methods is a bad method; The American Society for Testing and Materials (ASTM) approves all three methods. However, in a world among "equals," it seems to me that some methods are more "equal" than others. Don't think of PEX as a commodity item. There is a difference.

And this is why HouseNeeds sells PEX Tubing manufactured with the Engel-method for radiant heat for floors, walls, and ceilings as well as your plumbing needs. We strive to offer only the best products for your housing needs.

Installing PEX Tubing Under Flooring

Click on the above link for a diagram

For Hung PEX Pipe (Slide Brackets, PEX Heat Transfer Plates or Staple Up Methods)

Installing PEX Tubing through the joists:
Drill (2) 1-1/2” holes in each joist as shown in Drawing A
Feed the PEX tubing through the hole (furthest from the sill plate) starting that particular loop in the last joist bay. PEX Tubing should be uncoiled off the top of the roll to avoid kinking.
The returning PEX Pipe goes through the holes closest to the sill plate.
Starting with the joist bay furthest from the manifold, grab the loop and twist 180°, then pull the PEX loop the length of the joist bay. Fasten the end of the loop in place or let it hang. Continue to work back toward the manifold (see drawing B).
This procedure applies for all three methods of attaching the PEX (Heat Transfer Plates, Hung Method and Staple Up). Please Note: Top of Slide Bracket (Hung Method) should be 1 5/8 inches below subfloor.
Foil Insulation is placed approximately 4 inches below the PEX tubing when done.